Modern Greek for Postgraduates and Early career scholars of Greek archaeology (intensive) – Irish Institute of Hellenic Studies, Athènes



 Athens, 2nd – 20th November 2015

_Calculated molecules, kept here for reference_
'''
[1]
DFT (ωB97M-V with the def2-TZVPD basis set) results for an isolated molecule of C27H28N2O5.

The geometry in ORCA input format:
```
! wB97M-V def2-TZVPD RIJCOSX def2/J DEFGRID3
* xyz 0 1
C -1.5811 -4.1274 -1.3298
O -2.4689 -3.0432 -1.4431
C -2.5940 -2.2093 -0.3711
C -1.9844 -2.3997 0.8561
C -2.1117 -1.4514 1.8604
C -2.8783 -0.3183 1.6670
C -2.8772 0.7903 2.6782
C -1.8423 1.8664 2.2759
N -2.1949 2.5425 1.0511
C -3.2264 3.5508 1.1784
C -1.8052 2.1816 -0.1997
O -2.3289 2.6747 -1.1838
C -0.6575 1.1903 -0.3251
C -0.3927 0.8820 -1.7993
C 0.4185 -0.3943 -1.9967
N 1.7093 -0.3403 -1.3145
C 2.6900 0.4341 -1.9170
O 2.4737 1.0009 -2.9674
C 3.9856 0.5184 -1.2201
C 5.0025 1.2839 -1.7509
C 6.2348 1.3739 -1.0963
C 6.4480 0.7049 0.0810
C 5.4325 -0.0887 0.6545
C 5.6057 -0.7986 1.8608
C 4.5914 -1.5628 2.3768
C 3.3643 -1.6552 1.7131
C 3.1568 -0.9747 0.5316
C 4.1852 -0.1798 -0.0129
C 1.8611 -1.0881 -0.1617
O 0.9689 -1.8060 0.2478
C -3.5532 -0.1554 0.4576
C -3.4062 -1.0699 -0.5703
O -3.9741 -0.9539 -1.8005
C -4.6554 0.2405 -2.1093
H -1.5479 -4.5851 -2.3175
H -1.9376 -4.8655 -0.6027
H -0.5768 -3.7970 -1.0446
H -1.3683 -3.2643 1.0343
H -1.5892 -1.5989 2.7937
H -2.6027 0.4067 3.6617
H -3.8643 1.2484 2.7521
H -0.8629 1.3984 2.1758
H -1.7825 2.6198 3.0689
H -4.1719 3.1203 1.5155
H -3.3758 4.0057 0.2014
H -2.9096 4.3126 1.8931
H -0.9000 0.2656 0.1979
H 0.2304 1.6283 0.1413
H 0.1155 1.7228 -2.2722
H -1.3480 0.7481 -2.3075
H 0.6086 -0.5418 -3.0621
H -0.1235 -1.2502 -1.5935
H 4.8269 1.8091 -2.6776
H 7.0195 1.9770 -1.5275
H 7.4000 0.7746 0.5871
H 6.5554 -0.7303 2.3715
H 4.7346 -2.1024 3.3009
H 2.5629 -2.2587 2.1120
H -4.1753 0.7136 0.3174
H -4.0166 1.1190 -1.9739
H -5.5640 0.3514 -1.5074
H -4.9325 0.1543 -3.1587
*
```

E = -1531.4508 hartree
highest occupied orbital energy = -7.8 eV
gap between HOMO and LUMO = 0.25525 Eh
LUMO = -0.847 eV
SMILES string = COc1ccc(CCN(C)C(=O)CCCN2C(=O)c3cccc4cccc(c34)C2=O)cc1OC

[2]
DFT (ωB97M-V with the def2-TZVPD basis set) results for a structure of composition C27H28N4O5 in a non-equilibrium geometry.

The geometry in ORCA input format:
```
! wB97M-V def2-TZVPD RIJCOSX def2/J DEFGRID3
* xyz 0 1
C -5.6179 -1.3723 0.1187
C -4.4417 -0.8873 -0.9023
O -4.6960 -0.3059 -2.0061
C -3.1360 -1.0013 -0.4409
C -2.8077 -1.7392 0.6406
C -1.5783 -1.6025 1.2806
C -0.6497 -0.9929 0.6357
C -0.9141 -0.3056 -0.8920
C -2.2531 -0.3552 -1.2961
H -2.4494 0.0059 -2.1570
H -0.1913 0.3397 -1.3587
N 0.6708 -0.6743 0.8448
C 1.1917 -0.0790 1.7817
O 2.3589 0.2868 2.2788
C 0.0912 0.9817 2.3875
N -0.7774 1.6562 1.6715
C -2.0271 1.4453 1.5959
O -2.7292 0.9378 2.4644
C -2.5951 2.4026 0.3527
C -4.0581 2.4712 0.2211
C -4.1265 3.1034 -1.2191
C -2.9032 3.4403 -1.3225
O -1.9470 2.9778 -0.4986
H -2.4142 3.8811 -2.1562
H -4.9584 3.5462 -1.9227
H -4.7659 2.0930 0.6812
H -0.2388 2.0631 0.8414
H 0.6636 1.8693 3.1337
H -0.6661 0.3679 3.2377
C 1.8157 -1.6930 0.4029
C 1.1815 -2.8853 -0.0192
C 0.3970 -3.2822 -1.2410
C -0.1041 -4.4758 -1.2426
N -0.0407 -5.6105 -0.3932
'''
_The calculated molecules stop here_

Following last year’s successful pilot, the Irish Institute of Hellenic Studies at Athens will be holding a three-week intensive course in November 2015.

Reading modern Greek bibliographical sources has become indispensable for any research postgraduate student or scholar of Greek Archaeology. The course aims at increasing the non-native Greek researchers’ understanding of the modern Greek language used in archaeological publications, from excavation reports and object catalogues to theoretical studies, and from current demotic Greek to katharevousa.

The venue will be the IIHSA premises, 51A Notara St, Athens. Lessons will take place on three evenings per week (x 2 hours) over the three-week period.

The teacher will be archaeologist and philologist Dr Vassilis Petrakis. The course, which will be taught through English, will use a tailor-made Reader. The choice of texts will take into account the students’ research interests as far as possible.

The fee is € 200 for the three-week course. The course is open to all postgraduates/early career scholars with a working knowledge of modern Greek or those who have also been attending an intensive general course in modern Greek. One academic reference will be required. Up to 5 credits may be granted to students in consultation with their University departments.

Limited accommodation will be available in the IIHSA premises for the duration of the course.

To dowload the application form, click on the IIHSA webpage: For queries or further information, please contact the IIHSA Director, Dr Christina Souyoudzoglou-Haywood: ( Completed applications and academic reference letters should be sent by email to the Assistant Director, Dr Aris Anagnostopoulos ( no later than the 6th September 2015. Places are limited. Applying early is advisable in order to secure a place.

Summer School “Georgian Manuscript- 2015” – The National Centre of Manuscripts, Tbilisi

The National Centre of Manuscripts (Tbilisi, Georgia is organizing the Summer School “Georgian Manuscript- 2015”. The Summer School is dedicated to the study of the Georgian manuscript heritage. It will be held from 14th to 23th July 2015 in Tbilisi, Georgia.

Pour plus d’information, cliquez ici, formulaire d’inscription ici et programme ici.

Patristic and Byzantine Greek Summer Course – University of Notre Dame, South Bend, Indiana

Patristic and Byzantine Greek – Summer Course, University of Notre Dame, South Bend, Indiana

Course number: CLGR 30199, 60199

Instructor: Charles C. Yost

Dates: MTWR- 2:00 PM-3:40 PM, June 15-July 24

The Eastern Roman (Byzantine) Empire holds a crucial place in the history of Greek letters. Not only did Byzantine scribes forge the vital link between antiquity and modernity, but Byzantine mystics, poets, philosophers, and statesmen have left behind a vast and varied corpus of texts expressing the diverse discourses contributing to the formation of Byzantium. In this course, students will engage this corpus through a survey of texts that is broad both in chronology (embracing texts composed from the 4th through the 15th century) and genre (including historiography, hagiography, theological treatises, poetry, literary criticism, and documentary sources). Beginning in the 4th and 5th centuries with Gregory Nazianzos, John Chrysostom, and Pseudo-Dionysios, we shall encounter (among others) the writings of Maximos the Confessor, the nun Kassia, Theophanes the Confessor, Photios, Symeon the New Theologian, Michael Psellos, Anna Komnene, and end in the 14th and 15th centuries with figures such as John Kantakouzenos, Alexios Makrembolites, and Plethon. Students will also receive an introduction to Greek paleography.

Prerequisite: At least one year of classical or Koine Greek.

Visiting (non-Notre Dame students) welcome! For information about registration, please visit

 Questions? Contact Charles Yost (